The reader should copy all of the contents underneath verbatim.

1.
KBeV2Au, relaxed, DFT PBE; energy of formation = 2.56 eV/atom; N(E_F) = 3.25 states/eV/cell
1.0
4.2539 0.0000 0.0000
0.0000 5.1837 0.0000
0.0000 0.0000 4.2539
Be Au V K
1 1 2 1
direct
0.5000 0.5000 0.5000
0.0000 0.5000 0.0000
0.0000 0.0000 0.5000
0.5000 0.0000 0.0000
0.0000 0.0000 0.0000

***

2.
LiAcPaTc, relaxed, DFT PBE; energy of formation = 0.32 eV/atom; N(E_F) = 7.31 states/eV/cell
1.0
-0.4712 4.6204 -2.1381
-0.4160 0.4371 -5.0771
-4.4491 1.4087 -2.0886
Ac Pa Tc Li
1 1 1 1
direct
0.2500 0.2500 0.2500
0.7500 0.7500 0.7500
0.5000 0.5000 0.5000
0.0000 0.0000 0.0000

***

3.
Na2UO4, relaxed, DFT PBE; ΔE_f (raw) = -2.5673 eV/atom; N(E_F) = 0.00 states/eV/cell
1.0
6.6891 0.0002 0.0000
3.8610 5.4623 0.0000
-5.2750 -2.7312 3.0754
Na O U
2 4 1
direct
0.6472 0.6472 0.0000
0.3528 0.3528 0.0000
0.8375 0.8375 0.0000
0.5000 0.0000 0.5000
0.0000 0.5000 0.5000
0.1625 0.1625 0.0000
0.0000 0.0000 0.0000

***

4.
LiZrPd2, relaxed, DFT PBE; energy of formation = 0.02 eV/atom; N(E_F) = 2.49 states/eV/cell
1.0
4.7304 -1.4221 -2.7013
-1.1489 4.8040 2.7013
-3.2699 -0.1245 4.5812
Zr Pd Li
1 2 1
direct
0.0000 0.5000 0.5000
0.0000 0.7696 0.7696
0.0000 0.2304 0.2304
0.0000 0.0000 0.0000

***

5.
GaPHPtS, relaxed, DFT PBE; VASP energy = -4.630 eV per atom; N(E_F) = 3.71 states/eV/cell
1.0
3.7358 0.0000 -0.0099
0.0000 3.4914 0.0000
-0.1814 0.0000 12.5522
S H Ga P Pt
2 2 2 2 2
direct
0.7711 0.5000 0.0459
0.7711 0.0000 0.5459
0.2068 0.0000 0.7164
0.2068 0.5000 0.2164
0.7022 0.5000 0.6575
0.7022 0.0000 0.1575
0.2114 0.5000 0.3302
0.2114 0.0000 0.8302
0.7126 0.0000 0.3491
0.7126 0.5000 0.8491

***

6.
RhSe2O, relaxed, DFT PBE; ΔE_f (raw) = 0.0742 eV/atom; N(E_F) = 3.59 states/eV/cell
1.0
5.2428 0.0000 0.0000
0.0000 5.2428 0.0000
2.6214 2.6214 5.6221
Se O Rh
4 2 2
direct
0.6080 0.1250 0.2500
0.1420 0.6250 0.2500
0.8750 0.8580 0.7500
0.3750 0.3920 0.7500
0.5000 0.5000 0.0000
0.2500 0.7500 0.5000
0.0000 0.0000 0.0000
0.7500 0.2500 0.5000

***

7.
Sr2MgCr, relaxed, DFT PBE; energy of formation = 0.65 eV/atom; N(E_F) = 8.76 states/eV/cell
1.0
9.1195 0.0000 0.0000
0.0000 9.1195 0.0000
4.5598 4.5598 3.5354
Cr Mg Sr
2 2 4
direct
0.7500 0.2500 0.5000
0.0000 0.0000 0.0000
0.2500 0.7500 0.5000
0.5000 0.5000 0.0000
0.3750 0.3547 0.7500
0.8750 0.8953 0.7500
0.1047 0.6250 0.2500
0.6453 0.1250 0.2500

***

8.
Pm2NdTm, relaxed, DFT PBE; energy of formation = 0.02 eV/atom; N(E_F) = 5.89 states/eV/cell
1.0
3.6295 0.0000 0.0000
1.8147 3.1432 0.0000
1.8147 1.0477 11.7565
Pm Nd Tm
2 1 1
direct
0.0813 0.0813 0.7560
0.2520 0.2520 0.2439
0.4998 0.4998 0.5005
0.6668 0.6668 0.9996

=====

Record 1
Density functional theory data (PBE-GGA) for a relaxed structure of NaGaPC. Values from VASP.

Structure (Quantum ESPRESSO input):
```
&SYSTEM
  ibrav = 0, nat = 8, ntyp = 4
/
ATOMIC_SPECIES
P 30.97 P.upf
C 12.01 C.upf
Ga 69.72 Ga.upf
Na 22.99 Na.upf
CELL_PARAMETERS angstrom
-0.671 -2.715 1.990
2.530 0.387 1.381
-6.618 8.752 9.669
ATOMIC_POSITIONS crystal
P 0.569 0.000 0.945
P 0.569 0.500 0.445
C 0.568 0.000 0.510
C 0.568 0.500 0.010
Ga 0.565 0.000 0.646
Ga 0.565 0.500 0.146
Na 0.067 0.000 0.303
Na 0.067 0.500 0.803
```

- space group = Cm, No. 8
- relative energy among the computed polymorphs (meV per atom) = 47
- electronic total energy (eV per atom) = -4.512


Record 2
Density functional theory data (PBE-GGA) for a relaxed structure of CsB2H8Pd. Values from VASP.

Structure (Quantum ESPRESSO input):
```
&SYSTEM
  ibrav = 0, nat = 12, ntyp = 4
/
ATOMIC_SPECIES
Cs 132.91 Cs.upf
B 10.81 B.upf
H 1.01 H.upf
Pd 106.42 Pd.upf
CELL_PARAMETERS angstrom
4.913 0.000 0.000
2.456 4.255 0.000
2.456 1.418 6.682
ATOMIC_POSITIONS crystal
Cs 0.500 0.500 0.500
B 0.262 0.262 0.213
B 0.738 0.738 0.787
H 0.201 0.201 0.396
H 0.562 0.146 0.147
H 0.799 0.799 0.604
H 0.146 0.562 0.147
H 0.854 0.438 0.853
H 0.146 0.146 0.147
H 0.854 0.854 0.853
H 0.438 0.854 0.853
Pd 0.000 0.000 0.000
```

- space group = R-3m, No. 166
- electronic total energy (eV per atom) = -3.952

=====

## DyHoSbCl2 (PBE-GGA)

1.
KBeV2Au, relaxed, DFT PBE; energy of formation = 2.56 eV/atom; N(E_F) = 3.25 states/eV/cell
1.0
4.2539 0.0000 0.0000
0.0000 5.1837 0.0000
0.0000 0.0000 4.2539
Be Au V K
1 1 2 1
direct
0.5000 0.5000 0.5000
0.0000 0.5000 0.0000
0.0000 0.0000 0.5000
0.5000 0.0000 0.0000
0.0000 0.0000 0.0000

***

2.
LiAcPaTc, relaxed, DFT PBE; energy of formation = 0.32 eV/atom; N(E_F) = 7.31 states/eV/cell
1.0
-0.4712 4.6204 -2.1381
-0.4160 0.4371 -5.0771
-4.4491 1.4087 -2.0886
Ac Pa Tc Li
1 1 1 1
direct
0.2500 0.2500 0.2500
0.7500 0.7500 0.7500
0.5000 0.5000 0.5000
0.0000 0.0000 0.0000

***

3.
Na2UO4, relaxed, DFT PBE; ΔE_f (raw) = -2.5673 eV/atom; N(E_F) = 0.00 states/eV/cell
1.0
6.6891 0.0002 0.0000
3.8610 5.4623 0.0000
-5.2750 -2.7312 3.0754
Na O U
2 4 1
direct
0.6472 0.6472 0.0000
0.3528 0.3528 0.0000
0.8375 0.8375 0.0000
0.5000 0.0000 0.5000
0.0000 0.5000 0.5000
0.1625 0.1625 0.0000
0.0000 0.0000 0.0000

***

4.
LiZrPd2, relaxed, DFT PBE; energy of formation = 0.02 eV/atom; N(E_F) = 2.49 states/eV/cell
1.0
4.7304 -1.4221 -2.7013
-1.1489 4.8040 2.7013
-3.2699 -0.1245 4.5812
Zr Pd Li
1 2 1
direct
0.0000 0.5000 0.5000
0.0000 0.7696 0.7696
0.0000 0.2304 0.2304
0.0000 0.0000 0.0000

***

5.
GaPHPtS, relaxed, DFT PBE; VASP energy = -4.630 eV per atom; N(E_F) = 3.71 states/eV/cell
1.0
3.7358 0.0000 -0.0099
0.0000 3.4914 0.0000
-0.1814 0.0000 12.5522
S H Ga P Pt
2 2 2 2 2
direct
0.7711 0.5000 0.0459
0.7711 0.0000 0.5459
0.2068 0.0000 0.7164
0.2068 0.5000 0.2164
0.7022 0.5000 0.6575
0.7022 0.0000 0.1575
0.2114 0.5000 0.3302
0.2114 0.0000 0.8302
0.7126 0.0000 0.3491
0.7126 0.5000 0.8491

***

6.
RhSe2O, relaxed, DFT PBE; ΔE_f (raw) = 0.0742 eV/atom; N(E_F) = 3.59 states/eV/cell
1.0
5.2428 0.0000 0.0000
0.0000 5.2428 0.0000
2.6214 2.6214 5.6221
Se O Rh
4 2 2
direct
0.6080 0.1250 0.2500
0.1420 0.6250 0.2500
0.8750 0.8580 0.7500
0.3750 0.3920 0.7500
0.5000 0.5000 0.0000
0.2500 0.7500 0.5000
0.0000 0.0000 0.0000
0.7500 0.2500 0.5000

***

7.
Sr2MgCr, relaxed, DFT PBE; energy of formation = 0.65 eV/atom; N(E_F) = 8.76 states/eV/cell
1.0
9.1195 0.0000 0.0000
0.0000 9.1195 0.0000
4.5598 4.5598 3.5354
Cr Mg Sr
2 2 4
direct
0.7500 0.2500 0.5000
0.0000 0.0000 0.0000
0.2500 0.7500 0.5000
0.5000 0.5000 0.0000
0.3750 0.3547 0.7500
0.8750 0.8953 0.7500
0.1047 0.6250 0.2500
0.6453 0.1250 0.2500

***

8.
Pm2NdTm, relaxed, DFT PBE; energy of formation = 0.02 eV/atom; N(E_F) = 5.89 states/eV/cell
1.0
3.6295 0.0000 0.0000
1.8147 3.1432 0.0000
1.8147 1.0477 11.7565
Pm Nd Tm
2 1 1
direct
0.0813 0.0813 0.7560
0.2520 0.2520 0.2439
0.4998 0.4998 0.5005
0.6668 0.6668 0.9996

=====

Record 1
Density functional theory data (PBE-GGA) for a relaxed structure of NaGaPC. Values from VASP.

Structure (Quantum ESPRESSO input):
```
&SYSTEM
  ibrav = 0, nat = 8, ntyp = 4
/
ATOMIC_SPECIES
P 30.97 P.upf
C 12.01 C.upf
Ga 69.72 Ga.upf
Na 22.99 Na.upf
CELL_PARAMETERS angstrom
-0.671 -2.715 1.990
2.530 0.387 1.381
-6.618 8.752 9.669
ATOMIC_POSITIONS crystal
P 0.569 0.000 0.945
P 0.569 0.500 0.445
C 0.568 0.000 0.510
C 0.568 0.500 0.010
Ga 0.565 0.000 0.646
Ga 0.565 0.500 0.146
Na 0.067 0.000 0.303
Na 0.067 0.500 0.803
```

- space group = Cm, No. 8
- relative energy among the computed polymorphs (meV per atom) = 47
- electronic total energy (eV per atom) = -4.512


Record 2
Density functional theory data (PBE-GGA) for a relaxed structure of CsB2H8Pd. Values from VASP.

Structure (Quantum ESPRESSO input):
```
&SYSTEM
  ibrav = 0, nat = 12, ntyp = 4
/
ATOMIC_SPECIES
Cs 132.91 Cs.upf
B 10.81 B.upf
H 1.01 H.upf
Pd 106.42 Pd.upf
CELL_PARAMETERS angstrom
4.913 0.000 0.000
2.456 4.255 0.000
2.456 1.418 6.682
ATOMIC_POSITIONS crystal
Cs 0.500 0.500 0.500
B 0.262 0.262 0.213
B 0.738 0.738 0.787
H 0.201 0.201 0.396
H 0.562 0.146 0.147
H 0.799 0.799 0.604
H 0.146 0.562 0.147
H 0.854 0.438 0.853
H 0.146 0.146 0.147
H 0.854 0.854 0.853
H 0.438 0.854 0.853
Pd 0.000 0.000 0.000
```

- space group = R-3m, No. 166
- electronic total energy (eV per atom) = -3.952

=====

## DyHoSbCl2 (PBE-GGA)